## Wanted
Next, quote everything further below unchanged.

## Given
~~~
Entry 1:
35
Properties=species:S:1:pos:R:3:forces:R:3 method="wB97M-V/def2-TZVPD" smiles="CC(C)C[C@H](NC(=O)[C@@H](N)CC(=O)O)C(=O)O" total_energy_ev=-23878.2711 homo_lumo_gap_ev=9.87 homo_ev=-9.4120
C -1.79197 -2.45497 2.97444 0.92 0.35 1.87
C -0.99802 -1.71210 1.96341 3.26 -0.25 -1.22
C 0.54995 -2.00589 2.28080 0.00 -0.41 -3.85
C -1.47704 -2.02321 0.43743 0.36 3.71 2.08
C -0.87575 -0.90726 -0.46011 1.56 2.07 0.29
N -1.31324 0.51406 -0.10968 -3.11 0.49 0.79
C -0.78775 1.79029 -0.17044 -1.17 0.53 1.42
O -1.46202 2.76229 0.30742 2.39 -2.68 -1.77
C 0.55320 1.86111 -0.91610 -0.51 -1.45 0.58
N 0.48409 2.86668 -1.86777 -0.02 2.30 -1.81
C 1.83317 1.96399 -0.09244 -0.16 3.80 0.60
C 2.30532 0.77919 0.51871 3.23 -6.18 0.46
O 2.19859 -0.39041 0.08639 -0.65 2.62 -0.03
O 3.12017 0.86952 1.61583 -0.54 1.02 -0.05
C -0.82843 -1.13985 -1.96683 -0.55 -3.82 0.42
O -0.80833 -2.29305 -2.42380 -0.05 2.62 0.72
O -0.83314 -0.06081 -2.73033 -0.23 0.65 0.34
H -2.66119 -1.90280 2.90866 -2.52 0.95 1.17
H -1.32940 -2.52112 4.02223 -0.72 0.70 -1.46
H -2.10100 -3.44170 2.79001 0.12 -1.55 -0.96
H -1.06308 -0.58951 2.09479 -0.44 -1.27 -0.06
H 1.21102 -1.50597 1.43252 -1.25 -1.47 1.83
H 0.86824 -1.52537 3.18267 -0.10 -0.04 0.80
H 0.71802 -3.14507 2.27126 -0.03 1.76 0.21
H -2.51375 -1.78164 0.44205 -1.32 -0.03 0.17
H -1.43496 -3.00310 0.07399 0.89 -1.36 -0.54
H 0.15470 -0.78102 -0.12284 0.38 -0.79 -0.66
H -2.30552 0.70083 0.21209 1.38 -1.05 -0.38
H 0.49902 0.97901 -1.54883 0.92 -0.58 0.95
H -0.31298 3.49326 -1.71056 0.58 -0.34 -0.82
H 0.68514 2.47616 -2.80210 -0.87 1.10 0.73
H 2.59746 2.57089 -0.67683 -0.54 -1.50 0.24
H 1.78813 2.69720 0.75169 -0.79 -0.28 -0.44
H 3.43706 -0.02680 1.86923 -0.53 0.61 -0.61
H -1.05108 -0.36660 -3.60498 0.10 -0.24 -1.00

Entry 2:
36
Properties=species:S:1:pos:R:3:forces:R:3 method="wB97M-V/def2-TZVPD" smiles="CSCC[C@H](N)C(=O)N[C@@H](CCC(=O)O)C(=O)O" total_energy_ev=-34712.5252 homo_lumo_gap_ev=9.06 homo_ev=-8.9725
C -5.62184 -0.09911 -0.05802 4.09 0.48 1.51
S -4.72384 1.62023 -0.07660 -1.11 -1.52 -0.20
C -3.10535 1.03845 -0.57833 2.65 1.29 0.37
C -2.50031 -0.20350 0.12709 -0.57 -0.52 3.78
C -1.00251 -0.48094 -0.07769 -1.19 -0.13 0.87
N -0.63336 -1.06620 -1.35585 -1.03 -2.26 -1.31
C -0.34464 -1.25640 1.07098 -1.08 -2.18 3.35
O -0.90454 -1.95209 2.03952 1.88 3.18 -4.62
N 1.01039 -1.16623 1.03387 -0.59 0.17 -1.95
C 1.96855 -0.51254 0.09597 0.78 -1.08 -0.19
C 2.94642 0.09908 1.05305 0.86 -0.12 0.97
C 4.06310 1.02608 0.65614 -1.21 2.44 -0.68
C 3.50806 2.38550 0.03626 0.18 1.06 -0.33
O 4.17274 3.36011 -0.30195 -1.67 -2.39 0.89
O 2.07261 2.38379 -0.07921 1.32 3.20 -0.23
C 2.76927 -1.53201 -0.84661 2.73 0.17 2.85
O 3.98858 -1.76568 -0.58766 -4.51 0.46 -1.72
O 2.01566 -2.09012 -1.76176 -0.33 -0.01 -0.37
H -4.99542 -0.52628 0.86715 -2.63 0.40 -1.78
H -5.34741 -0.70532 -0.91973 0.26 0.26 -0.20
H -6.67274 0.02617 -0.11394 -0.87 0.16 0.92
H -2.36286 2.00954 -0.26339 -1.93 -2.61 -1.30
H -3.12988 0.85330 -1.67526 0.27 0.49 0.50
H -2.51276 0.00153 1.31846 -0.37 -0.37 -2.55
H -3.07254 -1.16458 0.02467 0.34 0.98 -0.21
H -0.62021 0.52303 -0.09107 0.93 0.57 0.19
H -1.32615 -0.48132 -1.97206 1.77 -2.64 0.38
H -0.67827 -2.26233 -1.35284 -1.02 4.58 -0.26
H 1.44697 -1.79949 1.63793 0.68 -0.93 1.26
H 1.48614 0.20400 -0.53300 -0.48 0.37 -0.22
H 3.39247 -0.79311 1.53185 -0.12 0.72 0.36
H 2.32346 0.68553 1.70005 -0.20 -0.10 0.94
H 4.76766 1.31975 1.44497 -0.75 0.02 0.39
H 4.74500 0.62136 -0.01939 0.84 -0.81 -1.70
H 1.78848 3.38880 -0.27704 1.20 -3.24 0.47
H 1.08906 -1.68901 -1.69655 0.87 -0.06 -0.18

Entry 3:
31
Properties=species:S:1:pos:R:3:forces:R:3 method="wB97M-V/def2-TZVPD" smiles="NCCC[C@@H]1CCC[C@H]2CN=[N+]=C12" total_energy_ev=-15121.4396 homo_lumo_gap_ev=7.27 total_charge=+1 homo_ev=-13.2488
N 1.12117 1.36523 -1.47782 -0.96 -0.98 3.82
C 1.89217 2.14366 -0.51691 0.58 -0.02 -1.09
C 1.94131 1.49979 0.85442 1.57 -0.62 -1.34
C 0.58258 1.34775 1.48232 0.89 2.59 2.44
C -0.39872 0.18346 1.21894 -0.65 1.21 0.77
C 0.25693 -1.12552 1.57877 -1.23 -1.40 1.35
~~~

## Here it is
Entry 1:
35
Properties=species:S:1:pos:R:3:forces:R:3 method="wB97M-V/def2-TZVPD" smiles="CC(C)C[C@H](NC(=O)[C@@H](N)CC(=O)O)C(=O)O" total_energy_ev=-23878.2711 homo_lumo_gap_ev=9.87 homo_ev=-9.4120
C -1.79197 -2.45497 2.97444 0.92 0.35 1.87
C -0.99802 -1.71210 1.96341 3.26 -0.25 -1.22
C 0.54995 -2.00589 2.28080 0.00 -0.41 -3.85
C -1.47704 -2.02321 0.43743 0.36 3.71 2.08
C -0.87575 -0.90726 -0.46011 1.56 2.07 0.29
N -1.31324 0.51406 -0.10968 -3.11 0.49 0.79
C -0.78775 1.79029 -0.17044 -1.17 0.53 1.42
O -1.46202 2.76229 0.30742 2.39 -2.68 -1.77
C 0.55320 1.86111 -0.91610 -0.51 -1.45 0.58
N 0.48409 2.86668 -1.86777 -0.02 2.30 -1.81
C 1.83317 1.96399 -0.09244 -0.16 3.80 0.60
C 2.30532 0.77919 0.51871 3.23 -6.18 0.46
O 2.19859 -0.39041 0.08639 -0.65 2.62 -0.03
O 3.12017 0.86952 1.61583 -0.54 1.02 -0.05
C -0.82843 -1.13985 -1.96683 -0.55 -3.82 0.42
O -0.80833 -2.29305 -2.42380 -0.05 2.62 0.72
O -0.83314 -0.06081 -2.73033 -0.23 0.65 0.34
H -2.66119 -1.90280 2.90866 -2.52 0.95 1.17
H -1.32940 -2.52112 4.02223 -0.72 0.70 -1.46
H -2.10100 -3.44170 2.79001 0.12 -1.55 -0.96
H -1.06308 -0.58951 2.09479 -0.44 -1.27 -0.06
H 1.21102 -1.50597 1.43252 -1.25 -1.47 1.83
H 0.86824 -1.52537 3.18267 -0.10 -0.04 0.80
H 0.71802 -3.14507 2.27126 -0.03 1.76 0.21
H -2.51375 -1.78164 0.44205 -1.32 -0.03 0.17
H -1.43496 -3.00310 0.07399 0.89 -1.36 -0.54
H 0.15470 -0.78102 -0.12284 0.38 -0.79 -0.66
H -2.30552 0.70083 0.21209 1.38 -1.05 -0.38
H 0.49902 0.97901 -1.54883 0.92 -0.58 0.95
H -0.31298 3.49326 -1.71056 0.58 -0.34 -0.82
H 0.68514 2.47616 -2.80210 -0.87 1.10 0.73
H 2.59746 2.57089 -0.67683 -0.54 -1.50 0.24
H 1.78813 2.69720 0.75169 -0.79 -0.28 -0.44
H 3.43706 -0.02680 1.86923 -0.53 0.61 -0.61
H -1.05108 -0.36660 -3.60498 0.10 -0.24 -1.00

Entry 2:
36
Properties=species:S:1:pos:R:3:forces:R:3 method="wB97M-V/def2-TZVPD" smiles="CSCC[C@H](N)C(=O)N[C@@H](CCC(=O)O)C(=O)O" total_energy_ev=-34712.5252 homo_lumo_gap_ev=9.06 homo_ev=-8.9725
C -5.62184 -0.09911 -0.05802 4.09 0.48 1.51
S -4.72384 1.62023 -0.07660 -1.11 -1.52 -0.20
C -3.10535 1.03845 -0.57833 2.65 1.29 0.37
C -2.50031 -0.20350 0.12709 -0.57 -0.52 3.78
C -1.00251 -0.48094 -0.07769 -1.19 -0.13 0.87
N -0.63336 -1.06620 -1.35585 -1.03 -2.26 -1.31
C -0.34464 -1.25640 1.07098 -1.08 -2.18 3.35
O -0.90454 -1.95209 2.03952 1.88 3.18 -4.62
N 1.01039 -1.16623 1.03387 -0.59 0.17 -1.95
C 1.96855 -0.51254 0.09597 0.78 -1.08 -0.19
C 2.94642 0.09908 1.05305 0.86 -0.12 0.97
C 4.06310 1.02608 0.65614 -1.21 2.44 -0.68
C 3.50806 2.38550 0.03626 0.18 1.06 -0.33
O 4.17274 3.36011 -0.30195 -1.67 -2.39 0.89
O 2.07261 2.38379 -0.07921 1.32 3.20 -0.23
C 2.76927 -1.53201 -0.84661 2.73 0.17 2.85
O 3.98858 -1.76568 -0.58766 -4.51 0.46 -1.72
O 2.01566 -2.09012 -1.76176 -0.33 -0.01 -0.37
H -4.99542 -0.52628 0.86715 -2.63 0.40 -1.78
H -5.34741 -0.70532 -0.91973 0.26 0.26 -0.20
H -6.67274 0.02617 -0.11394 -0.87 0.16 0.92
H -2.36286 2.00954 -0.26339 -1.93 -2.61 -1.30
H -3.12988 0.85330 -1.67526 0.27 0.49 0.50
H -2.51276 0.00153 1.31846 -0.37 -0.37 -2.55
H -3.07254 -1.16458 0.02467 0.34 0.98 -0.21
H -0.62021 0.52303 -0.09107 0.93 0.57 0.19
H -1.32615 -0.48132 -1.97206 1.77 -2.64 0.38
H -0.67827 -2.26233 -1.35284 -1.02 4.58 -0.26
H 1.44697 -1.79949 1.63793 0.68 -0.93 1.26
H 1.48614 0.20400 -0.53300 -0.48 0.37 -0.22
H 3.39247 -0.79311 1.53185 -0.12 0.72 0.36
H 2.32346 0.68553 1.70005 -0.20 -0.10 0.94
H 4.76766 1.31975 1.44497 -0.75 0.02 0.39
H 4.74500 0.62136 -0.01939 0.84 -0.81 -1.70
H 1.78848 3.38880 -0.27704 1.20 -3.24 0.47
H 1.08906 -1.68901 -1.69655 0.87 -0.06 -0.18

Entry 3:
31
Properties=species:S:1:pos:R:3:forces:R:3 method="wB97M-V/def2-TZVPD" smiles="NCCC[C@@H]1CCC[C@H]2CN=[N+]=C12" total_energy_ev=-15121.4396 homo_lumo_gap_ev=7.27 total_charge=+1 homo_ev=-13.2488
N 1.12117 1.36523 -1.47782 -0.96 -0.98 3.82
C 1.89217 2.14366 -0.51691 0.58 -0.02 -1.09
C 1.94131 1.49979 0.85442 1.57 -0.62 -1.34
C 0.58258 1.34775 1.48232 0.89 2.59 2.44
C -0.39872 0.18346 1.21894 -0.65 1.21 0.77
C 0.25693 -1.12552 1.57877 -1.23 -1.40 1.35